## Material
____________
1.
{
  "formula": "C32H41MoN11O2S",
  "method": "ωB97M-V with the def2-TZVPD basis set",
  "elements": ["Mo", "S", "O", "O", "N", "N", "N", "N", "N", "N", "N", "N", "N", "N", "N", "C", "C", "C", "C", "C", "C", "C", "C", "C", "C", "C", "C", "C", "C", "C", "C", "C", "C", "C", "C", "C", "C", "C", "C", "C", "C", "C", "C", "C", "C", "C", "C", "H", "H", "H", "H", "H", "H", "H", "H", "H", "H", "H", "H", "H", "H", "H", "H", "H", "H", "H", "H", "H", "H", "H", "H", "H", "H", "H", "H", "H", "H", "H", "H", "H", "H", "H", "H", "H", "H", "H", "H", "H"],
  "positions_angstrom": [[0.07533, -0.04419, 0.52147], [3.26638, 0.06609, -0.44582], [3.98792, 0.92054, 0.43935], [3.01438, -1.30478, -0.09809], [0.30556, -2.20018, 0.88816], [0.30084, -4.17881, 1.83470], [0.89098, -3.03176, 0.04277], [0.26434, 2.16314, 0.36085], [-1.98398, -0.19205, -0.03929], [1.65653, 0.68900, -0.45602], [1.37332, -5.30005, 0.03812], [2.20688, 3.01031, -0.72559], [-0.73413, -0.01003, 2.36638], [5.23715, 0.52504, -5.92543], [0.88139, -4.16527, 0.64623], [-0.31173, -0.12536, 3.64653], [-3.85219, 0.87797, -1.25143], [-1.77695, -3.10919, -1.50508], [1.11766, 0.15699, 4.02787], [-3.11511, 2.64750, 0.47268], [-2.06959, -0.43285, 2.30753], [-1.47260, -1.93048, -2.43433], [-3.38487, -0.75819, -3.47236], [1.75852, -1.12321, 4.58303], [4.51798, 1.35707, -2.45023], [4.78535, 0.41394, -4.65799], [-5.23793, 1.33940, 0.89162], [4.98775, 1.45913, -3.73395], [-0.09619, 3.39474, 0.74244], [1.88574, 0.62027, 2.79041], [-0.06663, -2.92162, 1.96359], [3.83378, 0.20424, -2.05392], [-4.66294, 0.92705, -2.38836], [-2.66932, -0.50250, 1.04249], [1.80597, 4.23728, -0.38993], [3.63214, -0.84768, -2.95361], [0.66866, 4.48034, 0.37404], [4.09914, -0.74525, -4.23879], [-2.78370, -0.04176, -1.25559], [-2.55329, -0.87127, -2.36693], [1.15547, 1.26170, 5.09241], [1.42464, 2.04319, -0.31201], [-0.09138, -1.29965, -2.31658], [-4.44447, 0.12875, -3.48996], [-4.25947, 1.87746, -0.16420], [-2.47405, -0.77544, 3.59759], [-1.37792, -0.57054, 4.43538], [-3.45690, -1.12108, 3.87972], [2.95685, 0.70897, 2.97352], [0.38556, 5.47997, 0.66651], [-0.58898, -2.53776, 2.82524], [5.18702, -0.25207, -6.55940], [-0.98187, 3.49608, 1.35031], [3.96537, -1.56463, -4.93349], [-3.20032, -1.39536, -4.32818], [2.18872, 1.48180, 5.36369], [4.68109, 2.15496, -1.73918], [2.77601, -0.91173, 4.91383], [0.15645, -0.71675, -3.20431], [-0.10205, -0.51539, -1.53459], [2.37536, -5.20095, -0.08724], [1.52907, 1.58589, 2.43597], [-5.48624, 1.63009, -2.40126], [0.69048, 2.18013, 4.72987], [-2.53800, 2.03366, 1.16892], [-1.02301, -3.89155, -1.61006], [-5.09140, 0.19832, -4.35381], [-1.34843, -0.72169, 5.50256], [-5.80854, 2.16661, 1.31444], [-4.72651, 0.86017, 1.72836], [-1.51033, -2.33723, -3.44685], [0.63209, 0.95023, 5.99655], [1.81232, -1.90773, 3.82454], [-5.94968, 0.63333, 0.46265], [1.85963, -0.15057, 1.98337], [5.53320, 2.34148, -4.04293], [5.80942, 1.30368, -6.19915], [-4.82678, 2.62075, -0.72561], [2.43074, 5.05296, -0.73405], [-1.83987, -2.81824, -0.45642], [1.19940, -1.50674, 5.43651], [-3.70536, -0.80354, 0.93522], [0.70939, -2.00020, -2.10442], [1.14898, -6.08377, 0.64148], [-2.44651, 3.03866, -0.29482], [3.14406, -1.75304, -2.61880], [-2.74109, -3.53814, -1.77751], [-3.51468, 3.49144, 1.03867]],
____________
## To do
Please duplicate the contents further up word for word.
## Reply
1.
{
  "formula": "C32H41MoN11O2S",
  "method": "ωB97M-V with the def2-TZVPD basis set",
  "elements": ["Mo", "S", "O", "O", "N", "N", "N", "N", "N", "N", "N", "N", "N", "N", "N", "C", "C", "C", "C", "C", "C", "C", "C", "C", "C", "C", "C", "C", "C", "C", "C", "C", "C", "C", "C", "C", "C", "C", "C", "C", "C", "C", "C", "C", "C", "C", "C", "H", "H", "H", "H", "H", "H", "H", "H", "H", "H", "H", "H", "H", "H", "H", "H", "H", "H", "H", "H", "H", "H", "H", "H", "H", "H", "H", "H", "H", "H", "H", "H", "H", "H", "H", "H", "H", "H", "H", "H", "H"],
  "positions_angstrom": [[0.07533, -0.04419, 0.52147], [3.26638, 0.06609, -0.44582], [3.98792, 0.92054, 0.43935], [3.01438, -1.30478, -0.09809], [0.30556, -2.20018, 0.88816], [0.30084, -4.17881, 1.83470], [0.89098, -3.03176, 0.04277], [0.26434, 2.16314, 0.36085], [-1.98398, -0.19205, -0.03929], [1.65653, 0.68900, -0.45602], [1.37332, -5.30005, 0.03812], [2.20688, 3.01031, -0.72559], [-0.73413, -0.01003, 2.36638], [5.23715, 0.52504, -5.92543], [0.88139, -4.16527, 0.64623], [-0.31173, -0.12536, 3.64653], [-3.85219, 0.87797, -1.25143], [-1.77695, -3.10919, -1.50508], [1.11766, 0.15699, 4.02787], [-3.11511, 2.64750, 0.47268], [-2.06959, -0.43285, 2.30753], [-1.47260, -1.93048, -2.43433], [-3.38487, -0.75819, -3.47236], [1.75852, -1.12321, 4.58303], [4.51798, 1.35707, -2.45023], [4.78535, 0.41394, -4.65799], [-5.23793, 1.33940, 0.89162], [4.98775, 1.45913, -3.73395], [-0.09619, 3.39474, 0.74244], [1.88574, 0.62027, 2.79041], [-0.06663, -2.92162, 1.96359], [3.83378, 0.20424, -2.05392], [-4.66294, 0.92705, -2.38836], [-2.66932, -0.50250, 1.04249], [1.80597, 4.23728, -0.38993], [3.63214, -0.84768, -2.95361], [0.66866, 4.48034, 0.37404], [4.09914, -0.74525, -4.23879], [-2.78370, -0.04176, -1.25559], [-2.55329, -0.87127, -2.36693], [1.15547, 1.26170, 5.09241], [1.42464, 2.04319, -0.31201], [-0.09138, -1.29965, -2.31658], [-4.44447, 0.12875, -3.48996], [-4.25947, 1.87746, -0.16420], [-2.47405, -0.77544, 3.59759], [-1.37792, -0.57054, 4.43538], [-3.45690, -1.12108, 3.87972], [2.95685, 0.70897, 2.97352], [0.38556, 5.47997, 0.66651], [-0.58898, -2.53776, 2.82524], [5.18702, -0.25207, -6.55940], [-0.98187, 3.49608, 1.35031], [3.96537, -1.56463, -4.93349], [-3.20032, -1.39536, -4.32818], [2.18872, 1.48180, 5.36369], [4.68109, 2.15496, -1.73918], [2.77601, -0.91173, 4.91383], [0.15645, -0.71675, -3.20431], [-0.10205, -0.51539, -1.53459], [2.37536, -5.20095, -0.08724], [1.52907, 1.58589, 2.43597], [-5.48624, 1.63009, -2.40126], [0.69048, 2.18013, 4.72987], [-2.53800, 2.03366, 1.16892], [-1.02301, -3.89155, -1.61006], [-5.09140, 0.19832, -4.35381], [-1.34843, -0.72169, 5.50256], [-5.80854, 2.16661, 1.31444], [-4.72651, 0.86017, 1.72836], [-1.51033, -2.33723, -3.44685], [0.63209, 0.95023, 5.99655], [1.81232, -1.90773, 3.82454], [-5.94968, 0.63333, 0.46265], [1.85963, -0.15057, 1.98337], [5.53320, 2.34148, -4.04293], [5.80942, 1.30368, -6.19915], [-4.82678, 2.62075, -0.72561], [2.43074, 5.05296, -0.73405], [-1.83987, -2.81824, -0.45642], [1.19940, -1.50674, 5.43651], [-3.70536, -0.80354, 0.93522], [0.70939, -2.00020, -2.10442], [1.14898, -6.08377, 0.64148], [-2.44651, 3.03866, -0.29482], [3.14406, -1.75304, -2.61880], [-2.74109, -3.53814, -1.77751], [-3.51468, 3.49144, 1.03867]],